== Entries ==
........
A plane-wave DFT calculation with PBE-GGA was carried out for a geometry-optimized YFeSiW structure.

Structure (CIF):
```
data_YFeSiW
_chemical_formula_sum 'Y4 Fe4 Si4 W4'
_symmetry_space_group_name_H-M 'P 1'
_symmetry_Int_Tables_number 1
_symmetry_space_group_name_Hall 'P 1'
_cell_length_a 6.437
_cell_length_b 6.437
_cell_length_c 6.437
_cell_angle_alpha 90.00
_cell_angle_beta 90.00
_cell_angle_gamma 90.00
loop_
_atom_site_label
_atom_site_type_symbol
_atom_site_fract_x
_atom_site_fract_y
_atom_site_fract_z
Y1 Y 0.000 0.000 0.000
Y2 Y 0.000 0.500 0.500
Y3 Y 0.500 0.000 0.500
Y4 Y 0.500 0.500 0.000
Fe1 Fe 0.000 0.000 0.500
Fe2 Fe 0.000 0.500 0.000
Fe3 Fe 0.500 0.000 0.000
Fe4 Fe 0.500 0.500 0.500
Si1 Si 0.250 0.250 0.250
Si2 Si 0.250 0.750 0.750
Si3 Si 0.750 0.250 0.750
Si4 Si 0.750 0.750 0.250
W1 W 0.250 0.250 0.750
W2 W 0.250 0.750 0.250
W3 W 0.750 0.250 0.250
W4 W 0.750 0.750 0.750
```

Density (Mg/m³): 8.9
Polymorph energy (0 for the lowest one) (eV/atom): 0.137
Raw total energy (eV/atom): -7.722
Crystal system: cubic
Calculated volume (Å³/atom): 16.67


(1)
The following is a GGA-PBE calculation of La5Pm6Ho after structural relaxation, from Alexandria via LeMat-Bulk.

Calculated values
energy relative to the elements: 0.02 eV/atom
density of states at the Fermi level: 19.45 states/eV/f.u.

Cell lengths 6.3755, 6.3769, 12.1798 Å; angles 84.97, 79.90, 60.01 degrees
Atoms (fractional coordinates):
Pm  0.5859  0.3317  0.2486
Pm  0.0824  0.3317  0.7514
Pm  0.7505  0.0000  0.7516
Pm  0.2495  0.0000  0.2484
Pm  0.9176  0.6683  0.2486
Pm  0.4141  0.6683  0.7514
Ho  0.0000  0.0000  0.0000
La  0.1663  0.6674  0.5000
La  0.3331  0.3337  0.0000
La  0.5000  0.0000  0.5000
La  0.6669  0.6663  0.0000
La  0.8337  0.3326  0.5000

=====

(2)
The following is a GGA-PBE calculation of TaS2NO after structural relaxation, from Alexandria via LeMat-Bulk.

Calculated values
energy relative to the elements, uncorrected: 1.07 eV per atom
density of states at the Fermi level: 2.73 states/eV/f.u.

Cell lengths 3.9945, 3.9945, 3.8460 Å; angles 90.00, 90.00, 90.00 degrees
Each line ends with the local moment (μB).
Atoms (fractional coordinates):
S  0.0000  0.5000  0.0000  0.01
S  0.5000  0.0000  0.0000  0.01
N  0.0000  0.0000  0.5000  0.04
O  0.0000  0.0000  0.0000  -0.01
Ta  0.5000  0.5000  0.5000  -0.30

=====

Among the records above, which one has the highest density of states at the Fermi level?
La5Pm6Ho

=====

Among the records above, which one has the highest density of states at the Fermi level?
La5Pm6Ho

=====

What is the density of states at the Fermi level in the second record?
2.73 states/eV/f.u.


Entry 1:
A plane-wave DFT calculation with GGA-PBE was carried out for a relaxed structure of TmScAgBi.

Properties
**ΔE_f**: -0.34 eV per atom
**Crystal system**: cubic

The structure in POSCAR format:
```
TmScAgBi
1.0
0.000 3.644 3.644
3.644 0.000 3.644
3.644 3.644 0.000
Tm Sc Ag Bi
1 1 1 1
direct
0.000 0.000 0.000
0.500 0.500 0.500
0.250 0.250 0.250
0.750 0.750 0.750
```

Entry 2:
A plane-wave DFT calculation with GGA-PBE was carried out for a relaxed structure of RbInBi.

Properties
**ΔE_f**: -0.18 eV per atom
**Crystal system**: trigonal

The structure in POSCAR format:
```
RbInBi
1.0
5.257 0.000 0.000
-2.628 4.553 0.000
0.000 0.000 5.651
Rb In Bi
1 1 1
direct
0.000 0.000 0.000
0.667 0.333 0.501
0.333 0.667 0.500
```

Entry 3:
A plane-wave DFT calculation with GGA-PBE was carried out for a relaxed structure of Re2Au.

Properties
**ΔE_f**: 0.84 eV per atom
**Offset from the most stable computed form**: 624 meV per atom
**Crystal system**: tetragonal

The structure in POSCAR format:
```
Re2Au
1.0
-3.141 3.141 2.561
3.141 -3.141 2.561
3.141 3.141 -2.561
Re Au
4 2
direct
0.130 0.630 0.761
0.370 0.130 0.500
0.630 0.870 0.500
0.870 0.370 0.239
0.250 0.250 0.000
0.750 0.750 0.000
```

Entry 4:
A plane-wave DFT calculation with GGA-PBE was carried out for a relaxed structure of Ca2In2Pb5.

Properties
**ΔE_f**: -0.11 eV per atom
........

== To do ==
What is needed: duplicate the material further up from the first line to the one with "5.257 0.000" unchanged.

== Reply ==
A plane-wave DFT calculation with PBE-GGA was carried out for a geometry-optimized YFeSiW structure.

Structure (CIF):
```
data_YFeSiW
_chemical_formula_sum 'Y4 Fe4 Si4 W4'
_symmetry_space_group_name_H-M 'P 1'
_symmetry_Int_Tables_number 1
_symmetry_space_group_name_Hall 'P 1'
_cell_length_a 6.437
_cell_length_b 6.437
_cell_length_c 6.437
_cell_angle_alpha 90.00
_cell_angle_beta 90.00
_cell_angle_gamma 90.00
loop_
_atom_site_label
_atom_site_type_symbol
_atom_site_fract_x
_atom_site_fract_y
_atom_site_fract_z
Y1 Y 0.000 0.000 0.000
Y2 Y 0.000 0.500 0.500
Y3 Y 0.500 0.000 0.500
Y4 Y 0.500 0.500 0.000
Fe1 Fe 0.000 0.000 0.500
Fe2 Fe 0.000 0.500 0.000
Fe3 Fe 0.500 0.000 0.000
Fe4 Fe 0.500 0.500 0.500
Si1 Si 0.250 0.250 0.250
Si2 Si 0.250 0.750 0.750
Si3 Si 0.750 0.250 0.750
Si4 Si 0.750 0.750 0.250
W1 W 0.250 0.250 0.750
W2 W 0.250 0.750 0.250
W3 W 0.750 0.250 0.250
W4 W 0.750 0.750 0.750
```

Density (Mg/m³): 8.9
Polymorph energy (0 for the lowest one) (eV/atom): 0.137
Raw total energy (eV/atom): -7.722
Crystal system: cubic
Calculated volume (Å³/atom): 16.67


(1)
The following is a GGA-PBE calculation of La5Pm6Ho after structural relaxation, from Alexandria via LeMat-Bulk.

Calculated values
energy relative to the elements: 0.02 eV/atom
density of states at the Fermi level: 19.45 states/eV/f.u.

Cell lengths 6.3755, 6.3769, 12.1798 Å; angles 84.97, 79.90, 60.01 degrees
Atoms (fractional coordinates):
Pm  0.5859  0.3317  0.2486
Pm  0.0824  0.3317  0.7514
Pm  0.7505  0.0000  0.7516
Pm  0.2495  0.0000  0.2484
Pm  0.9176  0.6683  0.2486
Pm  0.4141  0.6683  0.7514
Ho  0.0000  0.0000  0.0000
La  0.1663  0.6674  0.5000
La  0.3331  0.3337  0.0000
La  0.5000  0.0000  0.5000
La  0.6669  0.6663  0.0000
La  0.8337  0.3326  0.5000

=====

(2)
The following is a GGA-PBE calculation of TaS2NO after structural relaxation, from Alexandria via LeMat-Bulk.

Calculated values
energy relative to the elements, uncorrected: 1.07 eV per atom
density of states at the Fermi level: 2.73 states/eV/f.u.

Cell lengths 3.9945, 3.9945, 3.8460 Å; angles 90.00, 90.00, 90.00 degrees
Each line ends with the local moment (μB).
Atoms (fractional coordinates):
S  0.0000  0.5000  0.0000  0.01
S  0.5000  0.0000  0.0000  0.01
N  0.0000  0.0000  0.5000  0.04
O  0.0000  0.0000  0.0000  -0.01
Ta  0.5000  0.5000  0.5000  -0.30

=====

Among the records above, which one has the highest density of states at the Fermi level?
La5Pm6Ho

=====

Among the records above, which one has the highest density of states at the Fermi level?
La5Pm6Ho

=====

What is the density of states at the Fermi level in the second record?
2.73 states/eV/f.u.


Entry 1:
A plane-wave DFT calculation with GGA-PBE was carried out for a relaxed structure of TmScAgBi.

Properties
**ΔE_f**: -0.34 eV per atom
**Crystal system**: cubic

The structure in POSCAR format:
```
TmScAgBi
1.0
0.000 3.644 3.644
3.644 0.000 3.644
3.644 3.644 0.000
Tm Sc Ag Bi
1 1 1 1
direct
0.000 0.000 0.000
0.500 0.500 0.500
0.250 0.250 0.250
0.750 0.750 0.750
```

Entry 2:
A plane-wave DFT calculation with GGA-PBE was carried out for a relaxed structure of RbInBi.

Properties
**ΔE_f**: -0.18 eV per atom
**Crystal system**: trigonal

The structure in POSCAR format:
```
RbInBi
1.0
5.257 0.000 0.000